Russia as breeding ground of neo-Nazism

# Records of crystals that have nothing to do with the page
# Cu2SbI6

A relaxed Cu2SbI6 crystal (PBE-GGA, Alexandria).

* D(E_F): 0.398 states/eV/atom
* spin magnetization: 0.0 Bohr magnetons per cell
* density: 3.92 g/cm³
* V: 47.53 A^3/atom
* energy relative to the elements, uncorrected: -17.6 kJ per mole of atoms

Unit cell a=7.8026 b=10.8008 c=10.8008 alpha=86.37 beta=75.80 gamma=75.80
Closest atoms and distances in Å follow each position.
Sites, in units of the cell vectors:
I 0.4641 0.3733 0.3683  2 Cu 2.48-2.53
I 0.1626 0.7911 0.9785  1 Cu 2.50
I 0.8374 0.2089 0.0215  1 Cu 2.50
I 0.8261 0.8954 0.3415  1 Sb 2.78
I 0.1739 0.1046 0.6585  1 Sb 2.78
I 0.6739 0.6585 0.1046  1 Sb 2.78
I 0.6626 0.9785 0.7911  1 Cu 2.50
I 0.3261 0.3415 0.8954  1 Sb 2.78
I 0.0359 0.6317 0.6267  2 Cu 2.48-2.53
I 0.3374 0.0215 0.2089  1 Cu 2.50
I 0.5359 0.6267 0.6317  2 Cu 2.48-2.53
I 0.9641 0.3683 0.3733  2 Cu 2.48-2.53
Sb 0.2500 0.1026 0.8974  2 I 2.78
Sb 0.7500 0.8974 0.1026  2 I 2.78
Cu 0.7127 0.7643 0.6946  3 I 2.48-2.53
Cu 0.2873 0.2357 0.3054  3 I 2.48-2.53
Cu 0.7873 0.3054 0.2357  3 I 2.48-2.53
Cu 0.2127 0.6946 0.7643  3 I 2.48-2.53

“De-Nazification” of Ukraine is one of the key objectives of and main justifications behind the Russian invasion. These days, the Kremlin media brand all those who oppose Russian aggression as “neo-Nazis.”

It is worth noting that at the onset of the invasion, Russian propaganda clearly separated the Ukrainian “fraternal people” from the “criminal regime” in Kyiv. In his address in the early hours of February 24, Putin said, addressing the Armed Forces of Ukraine: “Take power into your own hands. It looks like it will be easier for us to come to terms with you than with this gang of drug addicts and neo-Nazis, who settled in Kyiv and took the entire Ukrainian people hostage.”

Later, the Kremlin and the pro-government media began to substitute certain concepts: “nationalists” and “neo-Nazis” became synonymous with the Ukrainian Army, volunteer battalions, and territorial defense forces, which undoubtedly put up massive resistance to the Russian troops. Pro-Kremlin media headlines and newscast rhetoric are replete with phrases about “hours spent under targeted fire by nationalists” or Russian units and their proxies “who managed to drive nationalists out of the most residential areas in the city.” Moreover, after a month of war, Kremlin propagandists refer to almost all Ukrainians daring to oppose Russian occupation as “Nazis.” For example, for Margarita Simonyan, the head of one of the Kremlin’s main mouthpieces, RT, it came as an unpleasant surprise that “a significant part of Ukraine was engulfed in the madness of Nazism.” At one of the panel shows, she said: “Previously, I also thought that there were a few of them, but I definitely could not imagine that there were so many!”

+++
(1)
# PBE Ba2HgBiSe4, relaxed
# Raw formation energy in eV per atom: -0.997
# V in Å³ per atom: 32.7
# Calculated total energy in eV/cell: -119.8
data_Ba2HgBiSe4
_chemical_formula_sum 'Ba8 Hg4 Bi4 Se16'
_symmetry_space_group_name_H-M 'I m m a'
_symmetry_Int_Tables_number 74
_symmetry_space_group_name_Hall '-I 2b 2'
_cell_length_a 8.974
_cell_length_b 9.079
_cell_length_c 12.829
_cell_angle_alpha 90.00
_cell_angle_beta 90.00
_cell_angle_gamma 90.00
loop_
_atom_site_label
_atom_site_type_symbol
_atom_site_fract_x
_atom_site_fract_y
_atom_site_fract_z
_atom_site_occupancy
Ba1 Ba 0.000 0.000 0.000 1
Ba2 Ba 0.250 0.250 0.250 1
Hg1 Hg 0.000 0.000 0.500 1
Bi1 Bi 0.250 0.250 0.750 1
Se1 Se 0.000 0.022 0.749 1
Se2 Se 0.240 0.250 0.514 1

***

(2)
# PBE Ba2Sn4Hg3Bi, relaxed
# DFT formation energy in eV/atom: -0.34
# V in Å³ per atom: 32.3
# Calculated total energy in eV/cell: -28.0
data_Ba2Sn4Hg3Bi
_chemical_formula_sum 'Ba2 Sn4 Hg3 Bi1'
_symmetry_space_group_name_H-M 'P -4 m 2'
_symmetry_Int_Tables_number 115
_cell_length_a 5.374
_cell_length_b 5.374
_cell_length_c 11.181
_cell_angle_alpha 90.00
_cell_angle_beta 90.00
_cell_angle_gamma 90.00
loop_
_symmetry_equiv_pos_as_xyz
'x,y,z'
'y,-x,-z'
'-x,-y,z'
'-y,x,-z'
'-x,y,z'
'-y,-x,-z'
'x,-y,z'
'y,x,-z'
loop_
_atom_site_label
_atom_site_type_symbol
_atom_site_fract_x
_atom_site_fract_y
_atom_site_fract_z
_atom_site_occupancy
Ba1 Ba 0.000 0.500 0.245 1
Sn1 Sn 0.000 0.000 0.000 1
Sn2 Sn 0.000 0.500 0.628 1
Sn3 Sn 0.500 0.500 0.000 1
Hg1 Hg 0.000 0.500 0.882 1
Hg2 Hg 0.500 0.500 0.500 1
Bi1 Bi 0.000 0.000 0.500 1

***

(3)
# PBE BaSn2HgBi, relaxed
# DFT formation energy in eV/atom: -0.32
# V in Å³ per atom: 33.7
# Calculated total energy in eV/cell: -31.4
data_BaSn2HgBi
_chemical_formula_sum 'Ba2 Sn4 Hg2 Bi2'
_symmetry_space_group_name_H-M 'I m m 2'
_symmetry_Int_Tables_number 44
_cell_length_a 4.736
_cell_length_b 5.296
_cell_length_c 13.428
_cell_angle_alpha 90.00
_cell_angle_beta 90.00
_cell_angle_gamma 90.00
loop_
_symmetry_equiv_pos_as_xyz
'x,y,z'
'-x,-y,z'
'-x,y,z'
'x,-y,z'
'x+1/2,y+1/2,z+1/2'
'-x+1/2,-y+1/2,z+1/2'
'-x+1/2,y+1/2,z+1/2'
'x+1/2,-y+1/2,z+1/2'
loop_
_atom_site_label
_atom_site_type_symbol
_atom_site_fract_x
_atom_site_fract_y
_atom_site_fract_z
_atom_site_occupancy
Ba1 Ba 0.000 0.000 0.000 1
Sn1 Sn 0.000 0.000 0.609 1
Sn2 Sn 0.000 0.500 0.260 1
Hg1 Hg 0.000 0.000 0.391 1
Bi1 Bi 0.000 0.500 0.739 1

***

(4)
# PBE BaSnHgBi, relaxed
# DFT formation energy in eV/atom: -0.35
# V in Å³ per atom: 38.2
# E above lowest polymorph in eV per formula unit: 0.08
# Calculated total energy in eV/cell: -11.5
data_BaSnHgBi
_chemical_formula_sum 'Ba1 Sn1 Hg1 Bi1'
_symmetry_space_group_name_H-M 'P 3 m 1'
_symmetry_Int_Tables_number 156
_cell_length_a 5.2797
_cell_length_b 5.2797
_cell_length_c 6.3295
_cell_angle_alpha 90.00
_cell_angle_beta 90.00
_cell_angle_gamma 120.00
loop_
_symmetry_equiv_pos_as_xyz
'x,y,z'
'-y,x-y,z'
'-x+y,-x,z'
'-y,-x,z'
'-x+y,y,z'
'x,x-y,z'
loop_
_atom_site_label
_atom_site_type_symbol
+++

Why does Russian propaganda massively and indiscriminately brands all Ukrainians as Nazis? First of all, it’s about dehumanizing the nation in the eyes of the Russians. The Kremlin needs to give them something that will make Russians hate Ukrainians and justify in their eyes the atrocities committed against Ukrainians by the Russian military, the annihilation of Ukrainian cities. How could this be done? It turned out to be that simple: to an average Russian, who has been under the harsh influence of the Kremlin’s propaganda machine for years, it’s enough to say: “You know what? They are all Nazis there, we shouldn’t feel sorry for them, it’s okay to kill them all!” Which is what the Russian forces are doing.

### Data records, as found in the file
____________
VASP calculation (meta-GGA SCAN) on KZn2AsW at its PBEsol-relaxed geometry.

Geometry as extended XYZ:
```
5
Lattice="5.013 0.000 0.000 0.000 5.013 0.000 0.000 0.000 4.767" Properties=species:S:1:pos:R:3 pbc="T T T"
K 0.000 0.000 0.000
Zn 0.000 2.506 2.384
Zn 2.506 0.000 2.384
As 2.506 2.506 2.384
W 2.506 2.506 0.000
```

Summary:
Energy relative to the elements, kJ/mol of atoms: 98

=====

VASP calculation (meta-GGA SCAN) on MnSb2P at its PBEsol-relaxed geometry.

Geometry as extended XYZ:
```
4
Lattice="3.310 0.000 0.000 0.000 3.310 0.000 0.000 0.000 6.767" Properties=species:S:1:pos:R:3 pbc="T T T"
Mn 0.000 0.000 0.000
Sb 1.655 1.655 1.559
Sb 1.655 1.655 5.208
P 0.000 0.000 3.384
```

Summary:
Formation energy without anion corrections, meV/atom: 376

=====

VASP calculation (meta-GGA SCAN) on SrYNiMo2 at its PBEsol-relaxed geometry.

Geometry as extended XYZ:
```
5
Lattice="4.963 0.000 0.000 0.000 4.963 0.000 0.000 0.000 4.814" Properties=species:S:1:pos:R:3 pbc="T T T"
Sr 0.000 0.000 0.000
Y 2.482 2.482 2.407
Ni 2.482 2.482 0.000
Mo 0.000 2.482 2.407
Mo 2.482 0.000 2.407
```

Summary:
Energy relative to the elements, kJ/mol of atoms: 164

=====

VASP calculation (meta-GGA SCAN) on YInIN2 at its PBEsol-relaxed geometry.

Geometry as extended XYZ:
```
5
Lattice="4.273 0.000 0.000 0.000 4.273 0.000 0.000 0.000 5.544" Properties=species:S:1:pos:R:3 pbc="T T T"
Y 0.000 0.000 0.000
In 2.137 2.137 2.772
I 2.137 2.137 0.000
N 0.000 2.137 2.772
N 2.137 0.000 2.772
```

Summary:
Formation energy without anion corrections, meV/atom: 758

=====

VASP calculation (meta-GGA SCAN) on LiPdN2F at its PBEsol-relaxed geometry.

Geometry as extended XYZ:
```
5
Lattice="3.674 0.000 0.000 0.000 3.674 0.000 0.000 0.000 5.526" Properties=species:S:1:pos:R:3 pbc="T T T"
Li 0.000 0.000 0.000
Pd 1.837 1.837 2.763
N 0.000 1.837 2.763
N 1.837 0.000 2.763
F 1.837 1.837 0.000
```

Summary:
Formation energy without anion corrections, meV/atom: 449

=====

VASP calculation (meta-GGA SCAN) on BaHg3Pt at its PBEsol-relaxed geometry.

Geometry as extended XYZ:
```
5
Lattice="6.030 0.000 0.000 0.000 6.030 0.000 0.000 0.000 6.030" Properties=species:S:1:pos:R:3 pbc="T T T"
Ba 0.000 0.000 0.000
Hg 0.000 0.000 3.015
Hg 0.000 3.015 0.000
Hg 3.015 0.000 0.000
Pt 3.015 3.015 3.015
```

Summary:
Energy above the most stable polymorph in this dataset, meV per atom: 1492.5
Energy relative to the elements, kJ/mol of atoms: 97

=====

VASP calculation (meta-GGA SCAN) on SrMg2 at its PBEsol-relaxed geometry.

Geometry as extended XYZ:
```
6
Lattice="2.178 -7.809 0.000 2.178 7.809 0.000 0.000 0.000 5.445" Properties=species:S:1:pos:R:3 pbc="T T T"
Sr 2.178 6.491 4.084
Sr 2.178 -6.491 1.361
Mg 2.178 4.011 1.361
Mg 2.178 1.646 4.084
Mg 2.178 -1.646 1.361
Mg 2.178 -4.011 4.084
```

Summary:
Energy relative to the elements, kJ/mol of atoms: 0

=====

VASP calculation (meta-GGA SCAN) on K2CaTa at its PBEsol-relaxed geometry.

Geometry as extended XYZ:
```
4
____________

Meanwhile, in Russia, people get detained and prosecuted for phrases such as “No to fascism” and “fascism shall not pass” – such slogans are now equated with “discrediting” the Armed Forces of the Russian Federation.

Putin’s statements that the power in Ukraine is controlled by neo-Nazis is nothing but perfidious insinuation. As any other country, Ukraine has some problems with far-right movements. In Russia itself, there are no fewer ultra-right, neo-Nazi and nationalist, sharply xenophobic groups and organizations close to them in spirit. Moreover, there are people today in the Russian power circles who back in the day used to openly back extremely nationalist views and participated in the infamous “Russian Marches.” Traditionally, Russian law enforcement are trying to find a “Ukrainian trace” in pretty much anything, presenting ultra-right groups as “branches of Ukrainian radical movements.”

The Russian ultra-right are quite often in the news focus, there are still plenty of skinhead gangs that go out terrorizing and murdering representatives of various Central Asian ethnic groups, while caveman nationalists keep chanting their favorite “Moscow is for Muscovites” song.

Everyone knows that Russia has long and regularly accused former Soviet republics that have made integration with the civilized world and Europe their priority of “rehabilitating Nazism and supporting neo-Nazism,” being itself its main breeding ground.